Cosmology School in the Canary Islands 18-22.09/2017

Monday, 18 SEPTEMBER 2017

1) LSS and Dark Energy

9:00-9:30 Welcome, registration

9:30-10:30 [1.5h] Plenary lecture: Yun Wang (Dark Energy review, EUCLID, WFIRST) [PDF]

10:30-11:00 [20min] Coffee break

11:00-11:30 [30min] continuation plenary lecture

(1 plenary lecture, 7 focussed lectures)

Focused lectures:

  1. PT theory, alternative gravity theories, and cosmological parameter estimation:​​​​​​​​​​​​​​

    1. 11:30-12:10 [40min] EFT, PT (CLASS): Diego Blas [PDF]

    2. ​​​​​​​12:10-12:40 [40min] SPT, RPT: Martín Crocce [PDF]
    3. 12:40-13:00 14:30-14:50 [40min] Alternative gravity models (CLASS): Miguel Zumalacárregui Pérez [PDF]

    4. 13:00-14:30 [1.5h]  Lunch break

    5. 14:50-15:30 [40min] Cosmological parameter estimation (CLASS, HiCLASS, Montepython, COSMOMC): Antonio J. Cuesta [PDF]

  2. Neutrino physics and LSS

    1. 15:30-16:00 [50min] Theory: Sergio Pastor Carpi (includes Olga Mena's observations contribution) [PDF]

16:00-16:30 [30min]  Coffee break and poster session

16:30-18:00 [1.5h] Discussion session

17:30-19:30 [2h] Projects: Montepython and HiClass directed by Antonio Cuesta and Miguel Zumalacárregui [PDF]

Tuesday: 19 SEPTEMBER 2017

2) LSS Galaxy surveys, BAO & RSD

(1 plenary lecture, 7 focussed lectures)

9:00-10:30 [1.5h] Plenary lecture: Will J. Percival (Galaxy Surveys, eBOSS, EUCLID, DESI, VIPERS) [PDF]

10:30-10:50 [20min] Coffee break

Focused lectures:

  1. BAO, RSD and higher order statistics:

    1. 11:00-11:20 [20min] Introduction to RSD modelling: Yi Zheng [PDF]

    2. 11:20-12:00 [40min] RSD, BAO modelling and measurement, and bispectrum: Hector Gil Marín (BOSS, eBOSS) [PDF]

    3. 12:00-12:40 [40min] Multipole expansions and 3 point correlation functions: Zachary Slepian (BOSS, eBOSS, DESI) [PDF]

    4. 13:00-14:30 [1.5h]  Lunch break

  2. Photometric surveys and BAO & RSD:

    1. ​​​​​​​14:30-14:50 [20min] 2MPZ angular power spectrum: Andrés Balaguera-Antolínez (eBOSS, EUCLID) [PDF]

    2. 14:50-15:10 [20min] DES angular correlation function: Martín Crocce (DES, DESI, EUCLID, PAU) [PDF]

    3. 15:10-15:40 [20min] Alhambra novel analysis techniques: Vicent Martínez (ALHAMBRA, EUCLID, JPAS) [PDF]


Wednesday, 20 SEPTEMBER 2017

3) The Nonlinear Universe and the Cosmic-Web

(1 plenary lecture, 6 focussed lectures)

9:00-10:40 [1h40min] Plenary lecture: Rien van de Weygaert (phase-space, cosmic web, cosmic voids, data analysis) [PDF]

10:40-11:00 [20min] Coffee break

Focused lectures:

  1. 11:00-11:40 [40min] Dark matter structure formation: Raul E. Angulo (EUCLID, JPAS) [PDF]
  2. 11:40-12:20 [40min] LensingR. Benton Metcalf [PDF]
  3. Cosmic Web:
    1. 12:20-12:40 [20min] Phase-space: Bridget Falck [PDF]

    2. 12:40-13:00 [20min] Voronoi, Delaunay tessellations, and digital signal processing of the cosmic web: Marius Cautun [PDF]

  4. 13:00-14:30 [1.5h]  Lunch break

  5. 14:30-15:10 [40min] Statistical analysis in cosmology: Francisco-Shu Kitaura (eBOSS, EUCLID, DESI, JPAS, 4MOST) [PDF]

  6. 15:10-15:50 [40min] The Local Universe (Tully-Fisher, constrained simulations): Jenny Sorce (COSMIC FLOWS, EUCLID, 4MOST) [PDF]

15:50-16:20 [30min]  Discussion session

16:20-17:00 [40min] Coffee break and poster session

17:00-19:00 [2h] Projects: Virtual observatories directed by Jenny Sorce

Thursday 21 SEPTEMBER 2017

4) CMB cross-correlations with LSS

(1 plenary lecture, 5 focussed lectures)

## Unrelated to this piece: materials data
┌──
(P)
Si2H25C10N (PBE-GGA, relaxed); space-group type = P1
1.0
9.085 0.000 0.000
0.000 13.129 0.000
-4.542 0.000 12.650
Si H C N
8 100 40 4
Cartesian
0.000 0.000 0.000
-2.255 4.506 6.289
-0.340 11.132 2.667
-2.582 6.471 9.009
1.367 13.000 2.867
-0.871 4.596 9.164
1.006 10.979 5.515
-1.206 6.610 11.831
-1.039 4.116 3.446
-3.253 0.419 9.832
-1.713 11.804 6.525
0.607 5.886 0.246
-1.336 3.324 6.153
-0.145 8.642 2.867
-3.587 1.235 12.501
-2.386 8.964 9.183
-1.104 0.027 5.623
-3.357 4.421 11.962
-2.367 2.752 10.063
-0.073 1.803 3.716
0.911 4.272 1.080
-1.326 0.186 7.365
-1.218 8.336 8.035
0.099 6.751 4.398
-2.167 10.878 10.783
1.110 9.338 1.719
-0.176 6.554 6.154
-2.460 11.034 12.540
1.155 2.352 2.560
-2.175 7.724 11.935
0.102 9.874 5.595
-1.045 2.146 8.898
0.453 5.264 5.242
-1.797 12.377 11.583
2.075 6.923 1.965
-0.178 10.663 8.266
-0.661 2.545 10.536
1.608 1.933 4.285
0.106 12.235 9.027
2.414 5.450 2.734
1.237 0.927 6.036
-0.946 3.568 12.397
0.961 1.042 7.842
3.259 3.446 1.478
2.298 8.550 4.270
0.074 9.011 10.561
1.105 3.949 7.796
3.409 0.531 1.507
1.160 5.690 8.275
3.453 11.923 2.014
0.772 7.591 9.857
1.946 8.360 6.659
4.200 9.268 0.415
3.072 9.995 3.570
3.704 6.471 2.225
1.490 11.215 8.563
4.627 4.410 0.838
1.540 4.360 9.453
2.393 0.101 7.247
3.863 0.131 3.153
0.706 0.475 12.032
3.000 4.015 5.736
4.697 8.016 1.481
2.454 9.602 7.794
4.000 8.852 4.496
1.806 8.767 10.841
1.677 5.781 11.443
1.874 2.432 11.080
4.029 11.851 5.160
1.858 12.406 11.212
4.180 2.141 4.802
4.162 5.140 4.913
5.983 5.897 0.519
5.921 8.951 0.709
3.730 11.778 6.875
3.712 8.698 7.016
3.886 5.299 6.694
6.176 12.342 0.327
3.790 2.358 7.251
6.079 2.226 0.939
3.069 1.444 10.273
5.378 3.024 3.907
4.813 10.599 6.102
2.568 7.045 12.412
3.984 6.688 8.595
3.187 10.911 10.935
5.518 6.659 4.558
6.345 10.937 2.283
6.373 4.561 3.255
4.141 12.993 9.550
5.856 1.740 5.078
3.595 2.684 11.371
4.746 3.433 8.245
7.025 0.970 1.917
6.697 12.224 3.438
4.400 5.423 9.846
4.501 7.131 10.224
6.791 10.482 3.964
7.821 2.448 1.262
6.859 7.589 3.943
5.586 2.056 7.560
4.627 10.046 10.352
4.309 10.164 12.023
6.591 7.514 5.679
7.712 5.612 2.714
5.474 11.943 9.042
6.166 8.477 7.560
8.511 9.141 1.250
-3.934 11.924 11.195
-1.677 5.644 4.932
-2.247 8.164 8.390
0.062 9.367 2.063
1.269 4.974 0.310
-0.947 12.643 6.587
-0.282 6.096 5.179
-2.469 11.522 11.543
-1.296 2.827 9.688
1.010 1.613 3.439
2.678 5.418 0.594
0.436 12.175 6.907
0.439 11.478 8.273
2.758 6.064 1.922
1.292 0.380 7.027
3.623 4.172 0.689
3.153 12.985 2.375
0.932 4.634 8.651
3.040 9.341 4.398
0.789 8.276 10.799
0.450 7.477 12.086
2.732 10.199 5.742
2.687 9.134 6.834
5.017 8.463 0.567
3.857 11.144 5.928
1.600 6.434 12.258
3.940 4.601 5.860
1.696 13.077 12.123
2.842 1.911 11.195
5.171 2.622 4.898
2.835 0.927 12.349
5.121 3.637 6.055
4.749 2.829 7.354
7.081 1.673 0.982
4.662 6.416 9.415
6.921 11.201 3.106
6.518 6.966 4.784
4.249 10.677 11.158
7.371 4.971 3.471
5.134 12.663 9.886
-2.057 5.172 7.846
0.236 12.421 1.593
0.770 11.762 3.919
-1.462 5.942 10.206

***
└──
## So much for the materials data

9:00-10:30 [1.5h] Plenary lecture: Nabila Aghanim (Introduction to CMB, CMB clusters, EUCLID, PLANCK) [PDF]

10:30-10:50 [20min] Coffee break

Focused lectures:

  1. 10:50-11:20 [30min]  kSZ, ISW: Carlos Hernández Monteagudo (EUCLID, JPAS, PLANCK) [PDF]

  2. 11:20-11:50 [30min]  Theory of CMB polarization, and current status of CMB polarization measurements​​​​​​​: Jose Alberto Rubiño Martín (eBOSS, EUCLID, QUIJOTE, PLANCK) [PDF]

  3. 11:50-12:20 [30min] Polarized foregrounds (synchrotron, dust, AME) : Ricardo T. Génova Santos (eBOSS, EUCLID, QUIJOTE, PLANCK) [PDF]

  4. 12:20-12:50 [30min] Component separation methods and forecasting of r-detectability with future experiments (e.g. CORE): Belén Barreiro (PLANCK,QUIJOTE) [PDF]

  5. 13:00-14:30 [1.5h]  Lunch break

  6. 14:30-15:00 [30min] Spectral distortions: Jens Chluba [PDF]

15:00-15:30 [30min]  Discussion session

15:30-16:00 [50min] Coffee break and poster session

16:00-18:00 [2h] Projects: Spectral distortions or recombination directed by Jens Chluba [PDF1, PDF2] and Modelling galaxy populations: combining simulations results with observed scaling relations directed by Ariana Di Cintio [IDL.PRO].



5) Reionization, 21cm line, Ly-alpha forest and galaxy formation

(1 plenary lecture, 5 focussed lectures)

### Between two parts of the page: data records
-- begin --
Entry from Materials Project: an optimized crystal structure of K3Cr11S18 (r2SCAN).

Values from the calculation:
ρ: 3.45 g/cm³
E_tot: -11.404 eV per atom
V: 19.06 A^3/atom
ΔH_f (0 K): -1139 meV per atom

Cell: 10.8185 10.8185 16.5228 Å, 99.67 99.67 18.67°
Last column: nearest neighbours and their distance in Å.
Element x y z (fractional)
K 0.0000 0.0000 0.0000  10 S 3.37-3.77, 2 K 3.51
K 0.3046 0.3046 0.4064  7 S 3.16-3.37, 2 K 3.51
K 0.6954 0.6954 0.5936  7 S 3.16-3.37, 2 K 3.51
Cr 0.0307 0.0307 0.7538  6 S 2.35-2.52
Cr 0.0914 0.0914 0.3705  6 S 2.36-2.53
Cr 0.2052 0.2052 0.0695  6 S 2.35-2.55
Cr 0.3340 0.3340 0.1798  6 S 2.35-2.51
Cr 0.3477 0.3477 0.7775  6 S 2.37-2.48
Cr 0.5000 0.5000 0.5000  6 S 2.42-2.44
Cr 0.6523 0.6523 0.2225  6 S 2.37-2.48
Cr 0.6660 0.6660 0.8202  6 S 2.35-2.51
Cr 0.7948 0.7948 0.9305  6 S 2.35-2.55
Cr 0.9086 0.9086 0.6295  6 S 2.36-2.53
Cr 0.9693 0.9693 0.2462  6 S 2.35-2.52
S 0.0776 0.0776 0.2228  4 Cr 2.37-2.41
S 0.0787 0.0787 0.5099  3 Cr 2.36-2.42
S 0.1352 0.1352 0.7269  3 Cr 2.35
S 0.2074 0.2074 0.9242  5 Cr 2.41-2.55
S 0.2273 0.2273 0.2159  4 Cr 2.38-2.45
S 0.3322 0.3322 0.6254  3 Cr 2.39-2.48
S 0.3676 0.3676 0.9262  3 Cr 2.35-2.42
S 0.4387 0.4387 0.1507  3 Cr 2.37-2.38
S 0.4950 0.4950 0.6467  5 Cr 2.44-2.53
S 0.5050 0.5050 0.3533  5 Cr 2.44-2.53
S 0.5613 0.5613 0.8493  3 Cr 2.37-2.38
S 0.6324 0.6324 0.0738  3 Cr 2.35-2.42
S 0.6678 0.6678 0.3746  3 Cr 2.39-2.48
S 0.7727 0.7727 0.7841  4 Cr 2.38-2.45
S 0.7926 0.7926 0.0758  5 Cr 2.41-2.55
S 0.8648 0.8648 0.2731  3 Cr 2.35
S 0.9213 0.9213 0.4901  3 Cr 2.36-2.42
S 0.9224 0.9224 0.7772  4 Cr 2.37-2.41
-- stop --
### End of the data records

Focused lectures:

  1. 9:00-10:40 [1h40min] Galaxy formation:

    1. Numerical modelling of galaxy formation and evolution​​​​​​​: Claudio Dalla Vecchia (eBOSS, BOSS) [PDF]

    2. Predictions of LCDM on galaxy scales: the need to understand baryonic physics​​​​​​​: Chris Brook [PDF]

    3. The internal structure of DM haloes in the presence of baryons​​​​​​​: Arianna di Cintio  ​​​​​​​[PDF]

10:40-11:00 [20min] Coffee break

11:00-13:00 [2h] Plenary lecture: Andrea Ferrara (Reionization, first stars, first galaxies, 21cm cosmology, SKA) [PDF]

1.
First-principles (meta-GGA r2SCAN) data for Er2Pt after structural relaxation, as listed in the Materials Project database.

## Properties
Its total energy is -40.860 eV per atom. The calculation puts the total magnetization at 0.0 Bohr magnetons per cell.

CIF file:
```
data_Er2Pt
_symmetry_space_group_name_H-M 'P n m a'
_symmetry_Int_Tables_number 62
_symmetry_space_group_name_Hall '-P 2ac 2n'
_cell_length_a 7.0408
_cell_length_b 4.7073
_cell_length_c 8.6698
_cell_angle_alpha 90.00
_cell_angle_beta 90.00
_cell_angle_gamma 90.00
loop_
_atom_site_label
_atom_site_fract_x
_atom_site_fract_y
_atom_site_fract_z
_atom_site_occupancy
Er1 0.0092 0.2500 0.1670 1
Er2 0.1433 0.2500 0.5807 1
Pt1 0.2412 0.2500 0.9074 1
```



2.
First-principles (meta-GGA r2SCAN) data for TmZrOs2 after structural relaxation, as listed in the Materials Project database.

## Properties
Its total energy is -41.448 eV per atom. The calculation puts the total magnetization at 0.0 Bohr magnetons per cell.

CIF file:
```
data_TmZrOs2
_symmetry_space_group_name_H-M 'F m -3 m'
_symmetry_Int_Tables_number 225
_symmetry_space_group_name_Hall '-F 4 2 3'
_cell_length_a 6.6061
_cell_length_b 6.6061
_cell_length_c 6.6061
_cell_angle_alpha 90.00
_cell_angle_beta 90.00
_cell_angle_gamma 90.00
loop_
_atom_site_label
_atom_site_fract_x
_atom_site_fract_y
_atom_site_fract_z
_atom_site_occupancy
Tm1 0.0000 0.0000 0.0000 1
Zr1 0.0000 0.0000 0.5000 1
Os1 0.2500 0.2500 0.2500 1
```



3.
First-principles (meta-GGA r2SCAN) data for CdAg3 after structural relaxation, as listed in the Materials Project database.

## Properties
Its total energy is -21.089 eV per atom. The calculation puts the total magnetization at 0.0 Bohr magnetons per cell.

CIF file:
```
data_CdAg3
_symmetry_space_group_name_H-M 'I 4/m m m'
_symmetry_Int_Tables_number 139
_symmetry_space_group_name_Hall '-I 4 2'
_cell_length_a 4.1537
_cell_length_b 4.1537
_cell_length_c 8.3481
_cell_angle_alpha 90.00
_cell_angle_beta 90.00
_cell_angle_gamma 90.00
loop_
_atom_site_label
_atom_site_fract_x
_atom_site_fract_y
_atom_site_fract_z
_atom_site_occupancy
Cd1 0.0000 0.0000 0.0000 1
Ag1 0.0000 0.0000 0.5000 1
Ag2 0.0000 0.5000 0.2500 1
```



4.
First-principles (meta-GGA r2SCAN) data for HgI2 after structural relaxation, as listed in the Materials Project database.

## Properties
Its total energy is -33.179 eV per atom. The calculation puts the total magnetization at 0.0 Bohr magnetons per cell.

CIF file:
```
data_HgI2
_symmetry_space_group_name_H-M 'C 1 2/c 1'
_symmetry_Int_Tables_number 15
_symmetry_space_group_name_Hall '-C 2yc'
_cell_length_a 18.0886
_cell_length_b 18.1101
_cell_length_c 15.6319
_cell_angle_alpha 90.00
_cell_angle_beta 125.31
_cell_angle_gamma 90.00
loop_
_atom_site_label
_atom_site_fract_x
_atom_site_fract_y
_atom_site_fract_z
_atom_site_occupancy
Hg1 0.0649 0.1289 0.1254 1
Hg2 0.1836 0.2525 0.6258 1
Hg3 0.1890 0.3790 0.8742 1
Hg4 0.1920 0.4977 0.6254 1
I1 0.1171 0.0012 0.7504 1
I2 0.1172 0.2485 0.7504 1

13:00-14:30 [1.5h]  Lunch break

​​​​​​​14:30-15:30 [1h] Lyman alpha forest cosmology: Andreu Font Ribera (eBOSS, BOSS, DESI) [PDF]

15:30-16:30 Summary of the school  (includes links to the different lectures by clicking on the names) [PDF]